EN ROUTE Questions
Despite sport sector has been recognised as labour-intensive sector, its innovation potential to boost employability still meets the following questions:
Skills shortage and mismatch. The highest number of graduates in Europe obtain a final qualification in the Physical Education field, while sport management and outdoor animation is only a small number. Moreover the mismatch between training and the jobs available in tourism appears to be much more responsible to impede innovation.
Life skills for profiles in sectors like sport (empathy, efficient communication, critical thinking, creative thinking, problem solving, teamworking) is not enough integrated in the training pathways proposals in all Member States. A good balance between transversal skills and job-specific knowledge still remains a challenge.
The discrepancy between European skill levels and the uneven recognition of skills and qualification across Member States. This is especially more evident in the shortage skills’ recognition and validation of sport job profiles in National Catalogue of Occupational Standards. This gap continues to impede their career development and European mobility despite a strong demand for learning mobility in the sport sector

EN ROUTE Objectives
The project aims at:
Diffusing shared knowledge of skills profiles in sport and tourism sector promoting visibility as condition for validation and certification at European level
Improving entrepreneurial skills of people employed in sport sector for the development of new cross-sectoral professional profiles, with an improvement in the proactive attitude and in networking ability
Diffusing life and employability skills and linking them with inclusion and tolerance values, spreading strategies to involve young people with different ability and making opportunities for their easy participation in sport against any discrimination
Diffusing the awareness about the advantages for a more inclusive society, the spreading of innovation and intercultural value
Stimulating the definition of efficient approaches for the promotion of the territorial potential as well as of sustainable and accessible tourism
The page is interrupted by data records
........
1.
Density functional theory data (ωB97M-V with the def2-TZVPD basis set) for C17H29N4O2PPtS as an isolated structure.

Geometry as XYZ:
```
55
Properties=species:S:1:pos:R:3:mulliken_charge:R:1
Pt -0.63493 -0.50159 1.23045 1.38
C 4.99916 0.82910 -5.25716 -1.44
C 3.94079 0.34252 -4.31539 0.89
C 4.19379 0.23077 -2.94726 -0.90
C 3.23077 -0.24852 -2.07977 -0.52
C 1.99054 -0.61691 -2.57992 -0.17
C 1.71317 -0.52039 -3.93763 -0.28
C 2.68729 -0.04114 -4.79493 -0.83
S 0.76290 -1.24295 -1.49957 1.67
O -0.33703 -1.73059 -2.28895 -0.66
O 1.37581 -2.09064 -0.51166 -0.77
N 0.22421 0.03962 -0.59052 -0.44
C -0.84414 0.80540 -1.05499 0.52
C -1.08804 1.31250 -2.32510 -0.62
C -2.25657 2.02947 -2.50442 -0.50
C -3.14152 2.22101 -1.44686 -0.70
C -2.82882 1.68786 -0.21668 -0.32
N -1.69015 1.01039 -0.03136 -0.34
H 5.80042 1.34334 -4.73008 0.37
H 4.58424 1.50471 -6.00415 0.38
H 5.43815 -0.01704 -5.78935 0.31
H 5.16471 0.51463 -2.56237 0.35
H 3.44601 -0.35455 -1.02450 0.44
H 0.75229 -0.83993 -4.31816 0.54
H 2.47651 0.02666 -5.85463 0.42
H -0.39318 1.13762 -3.13270 0.47
H -2.48578 2.43914 -3.47889 0.44
H -4.05881 2.77525 -1.57948 0.44
H -3.47986 1.79936 0.64070 0.45
C -3.17837 -2.50894 2.71001 -1.13
P -2.07907 -2.26799 1.28907 0.50
C -1.13883 -3.80033 1.10989 -1.12
C -3.13820 -2.15072 -0.16445 -1.09
H -3.81300 -3.37995 2.53560 0.42
H -3.82024 -1.64158 2.85973 0.36
H -2.59654 -2.68892 3.61384 0.36
H -1.81861 -4.64143 0.95854 0.43
H -0.54364 -3.98293 2.00408 0.36
H -0.46916 -3.71089 0.25456 0.28
H -3.77854 -3.02959 -0.25111 0.46
H -2.49877 -2.08088 -1.04744 0.23
H -3.76283 -1.25963 -0.10375 0.32
N 1.29005 2.45567 5.38639 -0.30
C -0.17692 2.38686 5.00656 -0.73
C -0.40520 1.69677 3.66663 -0.56
N -0.18228 0.25376 3.61539 -0.49
H 1.41495 2.94243 6.27875 0.37
H 1.83712 2.96153 4.68431 0.36
H 1.70035 1.52477 5.49371 0.33
H -0.52508 3.41813 4.97713 0.40
H -0.67681 1.87401 5.82745 0.38
H 0.19174 2.17198 2.88379 0.43
H -1.44541 1.88652 3.39794 0.32
H -0.71889 -0.25047 4.31226 0.26
H 0.79025 -0.02327 3.68643 0.29
```

relative energy (zero: lowest compared OMol25 entry of this formula, charge and spin): 30.2 kcal per mole
spin multiplicity: 3
strongest force on any atom: 0.26 eV/Å
lowest unoccupied orbital energy (alpha / beta): -6.20 / -6.81 eV
total charge: +2


2.
Density functional theory data (ωB97M-V with the def2-TZVPD basis set) for one molecule with the formula C17H29N5O7.

Geometry as XYZ:
```
58
Properties=species:S:1:pos:R:3:mulliken_charge:R:1
C 0.17237 4.38087 0.84875 -0.70
O 1.32231 3.64854 0.47078 -0.44
C 1.15997 3.01158 -0.78062 -0.13
C 2.38448 2.17258 -1.04850 -0.60
O 2.55612 1.30709 0.06019 -0.28
C 3.39321 0.19970 -0.20792 -0.91
C 2.65584 -0.90646 -0.95118 0.79
O 3.23292 -1.69233 -1.68229 -0.71
N 1.32761 -0.92495 -0.69853 0.72
C 0.40715 -1.85794 -1.29508 -2.26
C -0.55904 -1.20096 -2.29250 2.26
O 0.11780 -0.50237 -3.31614 -0.48
C 1.01540 -1.27607 -4.10029 -0.73
C -1.58283 -2.25140 -2.79415 -1.03
C -2.90329 -1.93955 -2.05655 -0.93
N -2.53219 -0.95832 -1.03870 0.08
........
Supporting the definition of efficient approaches through the creation of new strategic networks among stakeholders, implementing permanent research activities for tourist services renewal
En Route Main Activities
The project implementation will include a first phase of research for mapping a common framework of validation of sport profile in outdoor field. Partnership will study and produce data and analysis for the elaboration of the guideline for a common framework, in addiction they will be responsible to supply all documents for quality assessment and reporting activities to leader partner as required by quality plan and to supervise team collaboration condition. During research activities the En Route trainers community will define a common methodology to propose learning approach for a new sport and tourism profile. In the second phase trainers and coaches will have a cross-cutting role, they will be involved in all the activities of the project. They will be responsible of the selection of participants and of teambuilding activities, training modules and the support of project works realisation by different transnational teams, providing the necessary support to participant groups and supporting the development of key entrepreneurial skills.

En Route Expected Results
Learning Outcomes Mapping for a common ECVET, EQF framework in outdoor profile and guidelines - download document
Trainers Toolkit Sport and Tourism learning methodology - download document
New Professional and cross-sectoral profile for sport and tourism
Proposal for innovative models for tourism promotion - download document